Excerpt
........
Record 1
# Rb2Cu4H5S4O20

A relaxed structure of Rb2Cu4H5S4O20 (PBE-GGA, the Materials Project).

Output
formation energy from the elements	-1567	meV per atom
size of the total moment	1.00	μB/f.u.

CIF file:
```
data_Rb2Cu4H5S4O20
_cell_length_a 6.5058
_cell_length_b 7.9903
_cell_length_c 8.7638
_cell_angle_alpha 67.36
_cell_angle_beta 89.50
_cell_angle_gamma 88.64
_space_group_name_H-M_alt 'P -1'
_space_group_IT_number 2
loop_
_space_group_symop_operation_xyz
'x,y,z'
'-x,-y,-z'
loop_
_atom_site_label
_atom_site_type_symbol
_atom_site_fract_x
_atom_site_fract_y
_atom_site_fract_z
Rb1 Rb 0.0000 0.0000 0.0000
Rb2 Rb 0.5000 0.5000 0.5000
Cu1 Cu 0.2473 0.7481 0.7486
Cu2 Cu 0.2489 0.2463 0.2552
H1 H 0.0001 0.4874 0.1992
H2 H 0.4954 0.9972 0.7062
H3 H 0.5000 0.0000 0.5000
S1 S 0.0025 0.7896 0.4250
S2 S 0.4988 0.7098 0.0709
O1 O 0.0015 0.0131 0.6727
O2 O 0.0033 0.3810 0.1681
O3 O 0.0047 0.6833 0.3213
O4 O 0.1911 0.2596 0.4680
O5 O 0.1923 0.7387 0.5332
O6 O 0.3094 0.7619 0.9626
O7 O 0.3107 0.2391 0.0379
O8 O 0.4972 0.4877 0.8288
O9 O 0.4966 0.8156 0.1758
O10 O 0.4993 0.9100 0.6509
```

---

Record 2
# RbCu2H3S2O10

A relaxed structure of RbCu2H3S2O10 (PBE-GGA, the Materials Project).

Output
formation energy from the elements	-1581	meV per atom
size of the total moment	2.00	μB/f.u.

CIF file:
```
data_RbCu2H3S2O10
_cell_length_a 9.2364
_cell_length_b 6.5256
_cell_length_c 8.0115
_cell_angle_alpha 90.00
_cell_angle_beta 118.21
_cell_angle_gamma 90.00
_space_group_name_H-M_alt 'C 1 m 1'
_space_group_IT_number 8
loop_
_space_group_symop_operation_xyz
'x,y,z'
'x,-y,z'
'x+1/2,y+1/2,z'
'x+1/2,-y+1/2,z'
loop_
_atom_site_label
_atom_site_type_symbol
_atom_site_fract_x
_atom_site_fract_y
_atom_site_fract_z
Rb1 Rb 0.0000 0.0000 0.0000
Cu1 Cu 0.2450 0.2492 0.5040
H1 H 0.1981 0.0000 0.7060
H2 H 0.2982 0.5000 0.2844
H3 H 0.4736 0.5000 0.4827
S1 S 0.0710 0.5000 0.7773
S2 S 0.4270 0.0000 0.2227
O1 O 0.0350 0.3103 0.2799
O2 O 0.1580 0.0000 0.5676
O3 O 0.1712 0.5000 0.9842
O4 O 0.1764 0.5000 0.6834
O5 O 0.3226 0.0000 0.3166
O6 O 0.3286 0.0000 0.0156
O7 O 0.3442 0.5000 0.4237
O8 O 0.4642 0.1900 0.7191
```

---

Record 3
# Rb2Cu4H5S4O20

A relaxed structure of Rb2Cu4H5S4O20 (PBE-GGA, the Materials Project).

Output
formation energy from the elements	-1256	meV per atom
size of the total moment	3.01	μB/f.u.

CIF file:
```
data_Rb2Cu4H5S4O20
_cell_length_a 7.0429
_cell_length_b 8.0263
_cell_length_c 9.1276
_cell_angle_alpha 83.47
_cell_angle_beta 78.36
_cell_angle_gamma 88.24
_space_group_name_H-M_alt 'P -1'
_space_group_IT_number 2
loop_
_space_group_symop_operation_xyz
'x,y,z'
'-x,-y,-z'
loop_
_atom_site_label
_atom_site_type_symbol
_atom_site_fract_x
_atom_site_fract_y
_atom_site_fract_z
Rb1 Rb 0.0000 0.0000 0.0000
Rb2 Rb 0.5000 0.5000 0.5000
Cu1 Cu 0.0102 0.3912 0.3975
Cu2 Cu 0.2560 0.7706 0.2569
H1 H 0.1363 0.4967 0.8129
H2 H 0.3827 0.9868 0.7539
H3 H 0.5000 0.0000 0.0000
S1 S 0.1491 0.0184 0.5156
S2 S 0.3557 0.4822 0.0743
O1 O 0.0842 0.6181 0.3864
O2 O 0.1390 0.0068 0.6780
O3 O 0.1496 0.5940 0.7368
O4 O 0.2020 0.1824 0.4324
O5 O 0.2534 0.3728 0.0010
O6 O 0.2618 0.8759 0.4488
O7 O 0.2662 0.6574 0.0744
O8 O 0.3977 0.4226 0.2209
O9 O 0.4477 0.9334 0.1280
O10 O 0.4909 0.9336 0.7961
```

---

Record 4
# CuRe2H8O12

A relaxed structure of CuRe2H8O12 (PBE-GGA, the Materials Project).

Output
formation energy from the elements	-1578	meV per atom
size of the total moment	1.00	μB/f.u.

CIF file:
```
data_CuRe2H8O12
_cell_length_a 6.8638
_cell_length_b 7.1178
_cell_length_c 7.2958
_cell_angle_alpha 118.20
_cell_angle_beta 93.18
_cell_angle_gamma 108.47
_space_group_name_H-M_alt 'P -1'
_space_group_IT_number 2
loop_
_space_group_symop_operation_xyz
'x,y,z'
'-x,-y,-z'
loop_
_atom_site_label
_atom_site_type_symbol
_atom_site_fract_x
_atom_site_fract_y
_atom_site_fract_z
Cu1 Cu 0.0000 0.0000 0.0000
Re1 Re 0.4364 0.6408 0.3119
H1 H 0.1076 0.1483 0.7356
H2 H 0.1207 0.0593 0.3696
H3 H 0.2325 0.7677 0.9613
H4 H 0.2481 0.8205 0.7694
O1 O 0.0204 0.9301 0.2293
........

Work order
Find the line further above that holds "_cell_length_c 8.7638", then reproduce that line and all lines after it there.

Here it is
_cell_length_c 8.7638
_cell_angle_alpha 67.36
_cell_angle_beta 89.50
_cell_angle_gamma 88.64
_space_group_name_H-M_alt 'P -1'
_space_group_IT_number 2
loop_
_space_group_symop_operation_xyz
'x,y,z'
'-x,-y,-z'
loop_
_atom_site_label
_atom_site_type_symbol
_atom_site_fract_x
_atom_site_fract_y
_atom_site_fract_z
Rb1 Rb 0.0000 0.0000 0.0000
Rb2 Rb 0.5000 0.5000 0.5000
Cu1 Cu 0.2473 0.7481 0.7486
Cu2 Cu 0.2489 0.2463 0.2552
H1 H 0.0001 0.4874 0.1992
H2 H 0.4954 0.9972 0.7062
H3 H 0.5000 0.0000 0.5000
S1 S 0.0025 0.7896 0.4250
S2 S 0.4988 0.7098 0.0709
O1 O 0.0015 0.0131 0.6727
O2 O 0.0033 0.3810 0.1681
O3 O 0.0047 0.6833 0.3213
O4 O 0.1911 0.2596 0.4680
O5 O 0.1923 0.7387 0.5332
O6 O 0.3094 0.7619 0.9626
O7 O 0.3107 0.2391 0.0379
O8 O 0.4972 0.4877 0.8288
O9 O 0.4966 0.8156 0.1758
O10 O 0.4993 0.9100 0.6509
```

---

Record 2
# RbCu2H3S2O10

A relaxed structure of RbCu2H3S2O10 (PBE-GGA, the Materials Project).

Output
formation energy from the elements	-1581	meV per atom
size of the total moment	2.00	μB/f.u.

CIF file:
```
data_RbCu2H3S2O10
_cell_length_a 9.2364
_cell_length_b 6.5256
_cell_length_c 8.0115
_cell_angle_alpha 90.00
_cell_angle_beta 118.21
_cell_angle_gamma 90.00
_space_group_name_H-M_alt 'C 1 m 1'
_space_group_IT_number 8
loop_
_space_group_symop_operation_xyz
'x,y,z'
'x,-y,z'
'x+1/2,y+1/2,z'
'x+1/2,-y+1/2,z'
loop_
_atom_site_label
_atom_site_type_symbol
_atom_site_fract_x
_atom_site_fract_y
_atom_site_fract_z
Rb1 Rb 0.0000 0.0000 0.0000
Cu1 Cu 0.2450 0.2492 0.5040
H1 H 0.1981 0.0000 0.7060
H2 H 0.2982 0.5000 0.2844
H3 H 0.4736 0.5000 0.4827
S1 S 0.0710 0.5000 0.7773
S2 S 0.4270 0.0000 0.2227
O1 O 0.0350 0.3103 0.2799
O2 O 0.1580 0.0000 0.5676
O3 O 0.1712 0.5000 0.9842
O4 O 0.1764 0.5000 0.6834
O5 O 0.3226 0.0000 0.3166
O6 O 0.3286 0.0000 0.0156
O7 O 0.3442 0.5000 0.4237
O8 O 0.4642 0.1900 0.7191
```

---

Record 3
# Rb2Cu4H5S4O20

A relaxed structure of Rb2Cu4H5S4O20 (PBE-GGA, the Materials Project).

Output
formation energy from the elements	-1256	meV per atom
size of the total moment	3.01	μB/f.u.

CIF file:
```
data_Rb2Cu4H5S4O20
_cell_length_a 7.0429
_cell_length_b 8.0263
_cell_length_c 9.1276
_cell_angle_alpha 83.47
_cell_angle_beta 78.36
_cell_angle_gamma 88.24
_space_group_name_H-M_alt 'P -1'
_space_group_IT_number 2
loop_
_space_group_symop_operation_xyz
'x,y,z'
'-x,-y,-z'
loop_
_atom_site_label
_atom_site_type_symbol
_atom_site_fract_x
_atom_site_fract_y
_atom_site_fract_z
Rb1 Rb 0.0000 0.0000 0.0000
Rb2 Rb 0.5000 0.5000 0.5000
Cu1 Cu 0.0102 0.3912 0.3975
Cu2 Cu 0.2560 0.7706 0.2569
H1 H 0.1363 0.4967 0.8129
H2 H 0.3827 0.9868 0.7539
H3 H 0.5000 0.0000 0.0000
S1 S 0.1491 0.0184 0.5156
S2 S 0.3557 0.4822 0.0743
O1 O 0.0842 0.6181 0.3864
O2 O 0.1390 0.0068 0.6780
O3 O 0.1496 0.5940 0.7368
O4 O 0.2020 0.1824 0.4324
O5 O 0.2534 0.3728 0.0010
O6 O 0.2618 0.8759 0.4488
O7 O 0.2662 0.6574 0.0744
O8 O 0.3977 0.4226 0.2209
O9 O 0.4477 0.9334 0.1280
O10 O 0.4909 0.9336 0.7961
```

---

Record 4
# CuRe2H8O12

A relaxed structure of CuRe2H8O12 (PBE-GGA, the Materials Project).

Output
formation energy from the elements	-1578	meV per atom
size of the total moment	1.00	μB/f.u.

CIF file:
```
data_CuRe2H8O12
_cell_length_a 6.8638
_cell_length_b 7.1178
_cell_length_c 7.2958
_cell_angle_alpha 118.20
_cell_angle_beta 93.18
_cell_angle_gamma 108.47
_space_group_name_H-M_alt 'P -1'
_space_group_IT_number 2
loop_
_space_group_symop_operation_xyz
'x,y,z'
'-x,-y,-z'
loop_
_atom_site_label
_atom_site_type_symbol
_atom_site_fract_x
_atom_site_fract_y
_atom_site_fract_z
Cu1 Cu 0.0000 0.0000 0.0000
Re1 Re 0.4364 0.6408 0.3119
H1 H 0.1076 0.1483 0.7356
H2 H 0.1207 0.0593 0.3696
H3 H 0.2325 0.7677 0.9613
H4 H 0.2481 0.8205 0.7694
O1 O 0.0204 0.9301 0.2293